Set down everything underneath without additions.

'''
No. 1
Formula: C48H43GaN2O2P2S2
Source: the Open Molecules 2025 dataset
Level of theory: ωB97M-V/def2-TZVPD

The geometry in XYZ format:
```
100
Properties=species:S:1:pos:R:3
Ga -0.2397 0.1048 -0.3872
O 3.5291 -0.6214 -1.6992
S 2.5439 0.0676 -0.7864
C 3.1171 -0.3249 0.8880
C 4.4905 -0.6075 1.0758
C 4.9798 -0.8769 2.3186
C 4.1103 -1.0264 3.4055
C 2.7290 -0.8272 3.2199
C 2.2461 -0.4454 1.9863
P 0.4483 -0.2003 1.9559
C -0.2890 -1.7266 2.5344
C 0.4744 -2.9586 2.6756
C -0.0488 -4.0122 3.3511
C -1.3604 -3.8898 3.8630
C -2.1638 -2.8005 3.6070
C -1.6232 -1.7466 2.8779
C 0.2266 0.9831 3.3166
C 1.3103 1.8315 3.7560
C 1.0975 2.6236 4.8925
C -0.1226 2.6626 5.5633
C -1.2338 1.9679 5.0503
C -1.0525 1.1549 3.9273
C 3.0258 1.7818 -1.0909
C 4.3749 1.9668 -1.3258
C 4.8556 3.2699 -1.5834
C 4.0353 4.3493 -1.5016
C 2.6811 4.1337 -1.2361
C 2.1515 2.8833 -1.1034
P 0.3773 2.6492 -0.9311
C -0.0355 4.0539 0.1354
C -1.2891 4.6866 0.1239
C -1.5394 5.7480 1.0020
C -0.6081 6.1594 1.9546
C 0.5653 5.4696 2.0710
C 0.8765 4.4205 1.1814
C -0.3524 3.1338 -2.5273
C -1.7389 2.9544 -2.6513
C -2.3487 3.2267 -3.9147
C -1.5387 3.4027 -5.0157
C -0.1634 3.4557 -4.9069
C 0.4350 3.3262 -3.6552
H 5.1003 -0.5195 0.1951
H 6.0448 -1.0982 2.4512
H 4.4638 -1.2111 4.4330
H 2.0834 -0.9456 4.0652
H 1.4636 -2.9556 2.1906
H 0.4657 -5.0009 3.3645
H -1.8144 -4.7334 4.3416
H -3.2239 -2.8592 3.8119
H -2.2975 -0.9882 2.5041
H 2.2994 1.9526 3.2760
H 1.9231 3.2765 5.2673
H -0.2768 3.3144 6.4464
H -2.1902 2.0169 5.5641
H -1.8781 0.4931 3.5680
H 5.0586 1.0789 -1.3736
H 5.9477 3.4135 -1.7946
H 4.3835 5.3918 -1.6724
H 1.9693 4.9648 -1.3287
H -2.0652 4.5144 -0.6408
H -2.4736 6.3230 0.9708
H -0.8297 6.9581 2.6772
H 1.3515 5.8475 2.7311
H 1.8985 3.9773 1.2129
H -2.3765 2.7449 -1.7969
H -3.4363 3.2234 -4.0026
H -2.0325 3.5193 -5.9897
H 0.4160 3.5072 -5.8186
H 1.4974 3.4233 -3.6199
C -5.0470 -0.9588 -3.1714
C -4.8846 -1.4733 -1.7474
N -3.8229 -2.4902 -1.5320
C -4.2120 -3.8972 -1.6735
C -3.8790 -4.4889 -3.0531
C -2.5341 -2.1080 -1.4251
S -2.2263 -0.3662 -1.3727
N -1.5543 -3.0049 -1.3905
C -0.2672 -2.9116 -1.1585
O 0.3787 -1.9551 -0.5739
C 0.5318 -4.1178 -1.4410
C 1.8967 -3.9567 -1.6848
C 2.6858 -5.0575 -1.9466
C 2.1071 -6.3058 -2.0788
C 0.7057 -6.4713 -1.9157
C -0.0965 -5.3495 -1.7095
H -5.4069 0.0721 -3.1967
H -5.7784 -1.5350 -3.7608
H -4.0908 -0.9200 -3.7072
H -5.8328 -1.8547 -1.4201
H -4.5798 -0.6004 -1.1412
H -5.3205 -3.8587 -1.5427
H -3.7771 -4.6057 -0.9139
H -4.2490 -3.8480 -3.8918
H -4.2325 -5.5509 -3.1202
H -2.7814 -4.4621 -3.2022
H 2.3056 -2.9151 -1.7217
H 3.7605 -4.9522 -2.0643
H 2.7417 -7.1718 -2.2406
H 0.2397 -7.4109 -1.9805
H -1.1854 -5.5053 -1.6718
```

ΔE to the lowest compared entry with this formula, charge and spin   130.76 kJ/mol
DFT total energy   -150159.560 eV
Frontier orbital gap   7.31 eV
Net charge   +2

***

No. 2
Formula: C48H43N6O5S4SnTe
Source: the Open Molecules 2025 dataset
Level of theory: ωB97M-V/def2-TZVPD

The geometry in XYZ format:
```
108
Properties=species:S:1:pos:R:3
Sn 0.4833 -0.5053 -1.6011
N 4.5561 -6.2101 1.3929
C 3.6898 -5.1482 1.3557
C 2.5979 -5.1496 0.4741
C 1.7593 -4.0578 0.3963
C 1.9957 -2.9472 1.2015
C 3.0585 -2.9385 2.1025
C 3.9042 -4.0250 2.1687
S 0.9397 -1.5654 1.1176
O 0.7137 -1.0636 2.4284
O -0.1912 -1.9301 0.2446
N 1.5787 -0.4409 0.1065
C 2.8208 0.1503 0.0367
N 3.7021 0.0291 1.0130
C 4.8603 0.6574 0.8052
C 5.1355 1.3687 -0.3502
C 4.1393 1.3990 -1.3136
N 2.9807 0.7788 -1.1347
H 4.2430 -7.0845 1.0071
H 5.1523 -6.3005 2.1979
H 2.4065 -6.0205 -0.1410
H 0.9091 -4.0715 -0.2720
H 3.2120 -2.0821 2.7438
H 4.7311 -4.0217 2.8679
H 5.5918 0.5812 1.6017
H 6.0752 1.8809 -0.4906
H 4.2682 1.9266 -2.2520
C -3.9682 2.6090 3.0809
C -3.1974 2.0448 1.9190
C -3.6561 0.9433 1.2068
C -2.9606 0.4450 0.1130
C -3.5249 -0.6957 -0.6799
O -3.6044 -0.6543 -1.8888
C -3.9640 -1.9146 0.0680
C -3.3712 -2.2766 1.2747
C -3.7401 -3.4590 1.9010
C -4.7169 -4.2666 1.3356
C -5.3160 -3.9031 0.1345
C -4.9313 -2.7368 -0.5044
C -1.7549 1.0406 -0.2741
O -1.1456 0.5366 -1.3778
'''

No. 1
Formula: C48H43GaN2O2P2S2
Source: the Open Molecules 2025 dataset
Level of theory: ωB97M-V/def2-TZVPD

The geometry in XYZ format:
```
100
Properties=species:S:1:pos:R:3
Ga -0.2397 0.1048 -0.3872
O 3.5291 -0.6214 -1.6992
S 2.5439 0.0676 -0.7864
C 3.1171 -0.3249 0.8880
C 4.4905 -0.6075 1.0758
C 4.9798 -0.8769 2.3186
C 4.1103 -1.0264 3.4055
C 2.7290 -0.8272 3.2199
C 2.2461 -0.4454 1.9863
P 0.4483 -0.2003 1.9559
C -0.2890 -1.7266 2.5344
C 0.4744 -2.9586 2.6756
C -0.0488 -4.0122 3.3511
C -1.3604 -3.8898 3.8630
C -2.1638 -2.8005 3.6070
C -1.6232 -1.7466 2.8779
C 0.2266 0.9831 3.3166
C 1.3103 1.8315 3.7560
C 1.0975 2.6236 4.8925
C -0.1226 2.6626 5.5633
C -1.2338 1.9679 5.0503
C -1.0525 1.1549 3.9273
C 3.0258 1.7818 -1.0909
C 4.3749 1.9668 -1.3258
C 4.8556 3.2699 -1.5834
C 4.0353 4.3493 -1.5016
C 2.6811 4.1337 -1.2361
C 2.1515 2.8833 -1.1034
P 0.3773 2.6492 -0.9311
C -0.0355 4.0539 0.1354
C -1.2891 4.6866 0.1239
C -1.5394 5.7480 1.0020
C -0.6081 6.1594 1.9546
C 0.5653 5.4696 2.0710
C 0.8765 4.4205 1.1814
C -0.3524 3.1338 -2.5273
C -1.7389 2.9544 -2.6513
C -2.3487 3.2267 -3.9147
C -1.5387 3.4027 -5.0157
C -0.1634 3.4557 -4.9069
C 0.4350 3.3262 -3.6552
H 5.1003 -0.5195 0.1951
H 6.0448 -1.0982 2.4512
H 4.4638 -1.2111 4.4330
H 2.0834 -0.9456 4.0652
H 1.4636 -2.9556 2.1906
H 0.4657 -5.0009 3.3645
H -1.8144 -4.7334 4.3416
H -3.2239 -2.8592 3.8119
H -2.2975 -0.9882 2.5041
H 2.2994 1.9526 3.2760
H 1.9231 3.2765 5.2673
H -0.2768 3.3144 6.4464
H -2.1902 2.0169 5.5641
H -1.8781 0.4931 3.5680
H 5.0586 1.0789 -1.3736
H 5.9477 3.4135 -1.7946
H 4.3835 5.3918 -1.6724
H 1.9693 4.9648 -1.3287
H -2.0652 4.5144 -0.6408
H -2.4736 6.3230 0.9708
H -0.8297 6.9581 2.6772
H 1.3515 5.8475 2.7311
H 1.8985 3.9773 1.2129
H -2.3765 2.7449 -1.7969
H -3.4363 3.2234 -4.0026
H -2.0325 3.5193 -5.9897
H 0.4160 3.5072 -5.8186
H 1.4974 3.4233 -3.6199
C -5.0470 -0.9588 -3.1714
C -4.8846 -1.4733 -1.7474
N -3.8229 -2.4902 -1.5320
C -4.2120 -3.8972 -1.6735
C -3.8790 -4.4889 -3.0531
C -2.5341 -2.1080 -1.4251
S -2.2263 -0.3662 -1.3727
N -1.5543 -3.0049 -1.3905
C -0.2672 -2.9116 -1.1585
O 0.3787 -1.9551 -0.5739
C 0.5318 -4.1178 -1.4410
C 1.8967 -3.9567 -1.6848
C 2.6858 -5.0575 -1.9466
C 2.1071 -6.3058 -2.0788
C 0.7057 -6.4713 -1.9157
C -0.0965 -5.3495 -1.7095
H -5.4069 0.0721 -3.1967
H -5.7784 -1.5350 -3.7608
H -4.0908 -0.9200 -3.7072
H -5.8328 -1.8547 -1.4201
H -4.5798 -0.6004 -1.1412
H -5.3205 -3.8587 -1.5427
H -3.7771 -4.6057 -0.9139
H -4.2490 -3.8480 -3.8918
H -4.2325 -5.5509 -3.1202
H -2.7814 -4.4621 -3.2022
H 2.3056 -2.9151 -1.7217
H 3.7605 -4.9522 -2.0643
H 2.7417 -7.1718 -2.2406
H 0.2397 -7.4109 -1.9805
H -1.1854 -5.5053 -1.6718
```

ΔE to the lowest compared entry with this formula, charge and spin   130.76 kJ/mol
DFT total energy   -150159.560 eV
Frontier orbital gap   7.31 eV
Net charge   +2

***

No. 2
Formula: C48H43N6O5S4SnTe
Source: the Open Molecules 2025 dataset
Level of theory: ωB97M-V/def2-TZVPD

The geometry in XYZ format:
```
108
Properties=species:S:1:pos:R:3
Sn 0.4833 -0.5053 -1.6011
N 4.5561 -6.2101 1.3929
C 3.6898 -5.1482 1.3557
C 2.5979 -5.1496 0.4741
C 1.7593 -4.0578 0.3963
C 1.9957 -2.9472 1.2015
C 3.0585 -2.9385 2.1025
C 3.9042 -4.0250 2.1687
S 0.9397 -1.5654 1.1176
O 0.7137 -1.0636 2.4284
O -0.1912 -1.9301 0.2446
N 1.5787 -0.4409 0.1065
C 2.8208 0.1503 0.0367
N 3.7021 0.0291 1.0130
C 4.8603 0.6574 0.8052
C 5.1355 1.3687 -0.3502
C 4.1393 1.3990 -1.3136
N 2.9807 0.7788 -1.1347
H 4.2430 -7.0845 1.0071
H 5.1523 -6.3005 2.1979
H 2.4065 -6.0205 -0.1410
H 0.9091 -4.0715 -0.2720
H 3.2120 -2.0821 2.7438
H 4.7311 -4.0217 2.8679
H 5.5918 0.5812 1.6017
H 6.0752 1.8809 -0.4906
H 4.2682 1.9266 -2.2520
C -3.9682 2.6090 3.0809
C -3.1974 2.0448 1.9190
C -3.6561 0.9433 1.2068
C -2.9606 0.4450 0.1130
C -3.5249 -0.6957 -0.6799
O -3.6044 -0.6543 -1.8888
C -3.9640 -1.9146 0.0680
C -3.3712 -2.2766 1.2747
C -3.7401 -3.4590 1.9010
C -4.7169 -4.2666 1.3356
C -5.3160 -3.9031 0.1345
C -4.9313 -2.7368 -0.5044
C -1.7549 1.0406 -0.2741
O -1.1456 0.5366 -1.3778